LA Julian

Now I want Wonder Woman meets Lord Peter Wimsey crossover fic.

Between two parts of the text: records of crystals =
~~~
--- P ---
# PBE Sb2TeBr, optimized geometry
data_Sb2TeBr
_chemical_formula_sum 'Sb2 Te1 Br1'
_cell_length_a 3.2302
_cell_length_b 4.7320
_cell_length_c 8.0364
_cell_angle_alpha 90.00
_cell_angle_beta 90.00
_cell_angle_gamma 90.00
_symmetry_space_group_name_H-M 'P m m m'
_symmetry_Int_Tables_number 47
_symmetry_space_group_name_Hall '-P 2 2'
loop_
_atom_site_label
_atom_site_fract_x
_atom_site_fract_y
_atom_site_fract_z
Sb1 0.0000 0.0000 0.2440
Te1 0.0000 0.5000 0.5000
Br1 0.0000 0.5000 0.0000
# M_tot: 0.00 μB/f.u.
# density of states at the Fermi level: 0.394 states/eV per atom

--- Q ---
# PBE Sb2TeBr, optimized geometry
data_Sb2TeBr
_chemical_formula_sum 'Sb2 Te1 Br1'
_cell_length_a 5.9040
_cell_length_b 4.1743
_cell_length_c 5.9113
_cell_angle_alpha 90.00
_cell_angle_beta 104.92
_cell_angle_gamma 90.00
_symmetry_space_group_name_H-M 'P 1 m 1'
_symmetry_Int_Tables_number 6
_symmetry_space_group_name_Hall 'P -2y'
loop_
_atom_site_label
_atom_site_fract_x
_atom_site_fract_y
_atom_site_fract_z
Sb1 0.0000 0.0000 0.0000
Sb2 0.3653 0.5000 0.1809
Te1 0.5631 0.5000 0.8051
Br1 0.9120 0.0000 0.4168
# M_tot: 0.00 μB/f.u.
# density of states at the Fermi level: 0.477 states/eV per atom

Q has the most favorable energy; the next structure is 0.095 eV/atom above.
~~~

Invisible Wings

There were long-range bombers by the end of the War. Frightening-looking things that didn't seem as though they could hold together under their own weight, being wood and canvas carrying artillery — but were almost as sturdy as old-time sailing ships, fulfilling the same function for the superpowers of Europe as in

Exactly — what would be news would have been some explanation as to WHY they lost a I off her origin story. (I mean, besides "Well, it would look like we were ripping off Captain America: The First Avenger, if we followed the books" honesty…)

Yes, amid allegations of drunkenness and other inappropriate behaviour — yet to be seen if it escapes other similarities to FF4 as a result of directorial drama…

Oregon Trail!

What ho, what ho, what ho!

They weren't in the Jeremy Brett version…

I can't IMAGINE why people would think that a show based upon the Adventures of Sherlock Holmes, Consulting Detective, would be a crime show.

I think that the problems with the show, and the long delays, have caused the remaining fans to go into a protective huddle, like musk oxen surrounding their babies, instead of being able to accept that the show they like has a lot of problems and dealing with it the way that Buffy and Xena and Trek and Teen Wolf fans

It could have been fun to update it but otherwise leave it exactly the same — two good-hearted tech-savvy chaps who grow from being agreeable roomies to caring profoundly for each other even if one is asexual and the other straight, helping people with mysteries the cops think are trivial or unimportant, both of them

____________
The following is a PBE calculation of an optimized crystal structure of Al2NiCl, from Alexandria. Values from VASP.

Summary:
**Energy relative to the lowest polymorph listed for this composition**: 0.7939 eV per atom
**Raw formation energy**: 0.32 eV per atom

Cell and atoms, written as Quantum ESPRESSO input:
```
&SYSTEM
  ibrav = 0, nat = 4, ntyp = 3
/
ATOMIC_SPECIES
Al 26.98 Al.upf
Ni 58.69 Ni.upf
Cl 35.45 Cl.upf
ATOMIC_POSITIONS crystal
Al 0.250 0.250 0.250
Al 0.750 0.750 0.750
Ni 0.000 0.000 0.000
Cl 0.500 0.500 0.500
CELL_PARAMETERS angstrom
0.000 3.233 3.233
3.233 0.000 3.233
3.233 3.233 0.000
```

***

The following is a PBE calculation of an optimized crystal structure of AlNi2Cl, from Alexandria. Values from VASP.

Summary:
**Energy relative to the lowest polymorph listed for this composition**: 0.6324 eV per atom
**Raw formation energy**: 0.37 eV per atom

Cell and atoms, written as Quantum ESPRESSO input:
```
&SYSTEM
  ibrav = 0, nat = 4, ntyp = 3
/
ATOMIC_SPECIES
Al 26.98 Al.upf
Ni 58.69 Ni.upf
Cl 35.45 Cl.upf
ATOMIC_POSITIONS crystal
Al 0.000 0.000 0.000
Ni 0.250 0.250 0.250
Ni 0.500 0.500 0.500
Cl 0.750 0.750 0.750
CELL_PARAMETERS angstrom
0.000 3.026 3.026
3.026 0.000 3.026
3.026 3.026 0.000
```

***

The following is a PBE calculation of an optimized crystal structure of AlNi2Cl, from Alexandria. Values from VASP.

Summary:
**Energy relative to the lowest polymorph listed for this composition**: 0.0277 eV per atom
**Raw formation energy**: -0.23 eV per atom

Cell and atoms, written as Quantum ESPRESSO input:
```
&SYSTEM
  ibrav = 0, nat = 4, ntyp = 3
/
ATOMIC_SPECIES
Al 26.98 Al.upf
Ni 58.69 Ni.upf
Cl 35.45 Cl.upf
ATOMIC_POSITIONS crystal
Al 0.000 0.000 0.000
Ni 0.000 0.500 0.740
Ni 0.500 0.500 0.074
Cl 0.500 0.500 0.464
CELL_PARAMETERS angstrom
3.077 0.000 0.000
0.000 3.724 0.000
0.000 0.000 5.805
```

=====

First-principles (PBE-GGA) data for a relaxed structure of La2MgCo, as listed in Alexandria.

## Properties
space group: I-42d

Cell lengths 6.6621, 6.6621, 6.6621 Å; angles 103.32, 103.32, 122.63 degrees
Closest atoms and distances in Å follow each position.
Positions (direct):
La  0.0499  0.1250  0.4249  2 Co 2.65
La  0.3750  0.9501  0.0751  2 Co 2.65
La  0.7001  0.6250  0.5751  2 Co 2.65
La  0.8750  0.2999  0.9249  2 Co 2.65
Mg  0.2500  0.7500  0.5000  2 Co 3.20, 8 La 3.48
Mg  0.5000  0.5000  0.0000  2 Co 3.20, 8 La 3.48
Co  0.0000  0.0000  0.0000  4 La 2.65
Co  0.7500  0.2500  0.5000  4 La 2.65

---

First-principles (PBE-GGA) data for a relaxed structure of La8MgCo2, as listed in Alexandria.

## Properties
energy relative to the lowest polymorph listed for this composition: 0.000 eV/atom
space group: C2/m

Cell lengths 7.6703, 7.6703, 6.5814 Å; angles 92.79, 92.79, 64.28 degrees
Closest atoms and distances in Å follow each position.
Positions (direct):
La  0.0611  0.6212  0.3147  2 Co 2.73-2.74
La  0.1013  0.1013  0.1991  1 Co 3.04
La  0.3788  0.9389  0.6853  2 Co 2.73-2.74
____________
The entry goes on >

Yes, and in Thor Bridge there is the fascinating bit where the victim declares that yes, she knows her Yank boyfriend is a selfish, using jerk of a capitalist even if he's sweet to her — But she can Redeem him! And be the power behind the throne to help him use his powers for good! And Holmes is all "Good luck with

Oh, for starters — Marital rape still legal in lots of places, unequal pay, rape being unprosecuted more often than not, abortion bans and effectively banned, real but undocumented job discrimination, sexual harassment treated as a joke, and the ignorant refusal to do anything to help by "Dear Muslima" jackasses like

It has been nice, not hearing Tories blithering on about being the Keepers of National Virtue for a few months, hasn't it?

Have you noticed that the Tories have gone very, very quiet about being the Moral Guardians of the Nation? Can't imagine why that would be…

Can't this be said of EVERYTHING on, though?

Me, I'm always worried about the monstrous demi-god prince with the horns…

Then there's Thor Bridge, which is just people being all kinds of fucked up to each other, and one of them is a woman, but the greatest share of blame comes down to, equally, Sexist Society and The Rich Entitled Dude Who Uses His Privilege To Take Advantage Of Women Who Depend On Him… and don't forget Holmes' foray

== Misplaced calculated crystals ==
No. 1
Entry from Alexandria via LeMat-Bulk: a relaxed PrTmTeO6 crystal (PBE-GGA).

Cell: 5.551 5.551 10.008 Å, 90.00 90.00 120.00°
Atoms (fractional coordinates):
O (0.621, 0.963, 0.860)
O (0.963, 0.621, 0.360)
O (0.379, 0.342, 0.360)
O (0.963, 0.342, 0.140)
Pr (0.000, 0.000, 0.000)
O (0.342, 0.963, 0.640)
Te (0.333, 0.667, 0.750)
O (0.658, 0.037, 0.360)
Pr (0.000, 0.000, 0.500)
O (0.037, 0.658, 0.860)
Tm (0.333, 0.667, 0.250)
Tm (0.667, 0.333, 0.750)
O (0.658, 0.621, 0.140)
O (0.342, 0.379, 0.860)
Te (0.667, 0.333, 0.250)
O (0.379, 0.037, 0.140)
O (0.037, 0.379, 0.640)
O (0.621, 0.658, 0.640)

Results
The formation energy without anion corrections comes out at -2463.1 meV/atom.

No. 2
Entry from Alexandria via LeMat-Bulk: a relaxed PrTmTeO2 crystal (PBE-GGA).

Cell: 4.143 6.934 7.886 Å, 107.57 90.00 90.00°
Atoms (fractional coordinates):
Pr (0.750, 0.318, 0.074)
Pr (0.250, 0.682, 0.926)
Te (0.250, 0.048, 0.744)
Tm (0.750, 0.349, 0.586)
Te (0.750, 0.952, 0.256)
O (0.750, 0.514, 0.389)
O (0.750, 0.515, 0.869)
O (0.250, 0.486, 0.611)
O (0.250, 0.485, 0.131)
Tm (0.250, 0.651, 0.414)

Results
The formation energy without anion corrections comes out at -2918.3 meV/atom.

No. 3
Entry from Alexandria via LeMat-Bulk: a relaxed PrTm2TeO8 crystal (PBE-GGA).

Cell: 4.978 4.978 7.027 Å, 90.00 90.00 90.44°
Atoms (fractional coordinates):
Tm (0.500, 0.500, 0.238)
O (0.720, 0.720, 0.000)
Te (0.000, 0.000, 0.000)
O (0.814, 0.187, 0.795)
Pr (0.000, 0.000, 0.500)
O (0.674, 0.675, 0.500)
O (0.186, 0.813, 0.205)
O (0.326, 0.325, 0.500)
O (0.280, 0.280, 0.000)
Tm (0.500, 0.500, 0.762)
O (0.814, 0.187, 0.205)
O (0.186, 0.813, 0.795)

Results
The formation energy without anion corrections comes out at -2507.0 meV/atom.

No. 4
Entry from Alexandria via LeMat-Bulk: a relaxed PrUTe2O crystal (PBE-GGA).

Cell: 4.206 4.206 16.164 Å, 90.00 90.00 90.00°
Atoms (fractional coordinates):
Te (0.500, 0.000, 0.330)
Te (0.000, 0.500, 0.082)
U (0.000, 0.500, 0.434)
O (0.500, 0.500, 0.500)
Te (0.500, 0.000, 0.918)
U (0.500, 0.000, 0.566)
Te (0.000, 0.500, 0.670)
Pr (0.500, 0.000, 0.138)
Pr (0.000, 0.500, 0.862)
O (0.000, 0.000, 0.500)

Results
The formation energy without anion corrections comes out at -1740.0 meV/atom.

----------

(1)
Material: CuGePO2
Method: DFT, GGA-PBE
State: optimized geometry

Structure (extended XYZ):
```
5
Lattice="3.557 0.000 0.000 0.000 3.557 0.000 0.000 0.000 5.549" Properties=species:S:1:pos:R:3 pbc="T T T"
Cu 0.000 0.000 0.000
Ge 1.779 1.779 2.774

There are a TON of good stories by ACD that aren't Holmes, but be warned, many of them will cause you sleepless nights! There are medical mysteries, murder/suspense thrillers in the manner of Poe, and foreshadowings of Lovecraft complete with Jules Verne Easter Eggs! Yes, I do love "The Horror of the Heights" and "The

Or another feeble nod to canon — remember that the REAL Irene Adler successfully disguised herself as a young man to throw Holmes off her trail, while Holmes himself frequently disguised himself as all sorts of people, male or female, while hunting for evidence.